Material =
<<<
[1]
73
Properties=species:S:1:pos:R:3:mulliken_charge:R:1 method="wB97M-V/def2-TZVPD" homo_energy_ev=-7.768 total_charge=0 fmax_ev_per_a=2.47 energy_ha=-3117.9868
Ba -0.560 -1.859 -0.196 1.86
O 3.701 -3.166 -0.629 -0.75
C 4.274 -2.849 0.556 0.47
C 5.670 -2.830 0.601 -0.78
C 6.321 -2.520 1.777 -0.27
C 5.594 -2.218 2.929 -0.78
C 4.216 -2.233 2.874 -0.43
C 3.529 -2.546 1.697 0.09
C 2.042 -2.528 1.657 0.93
O 1.471 -2.764 0.509 -1.10
N 1.407 -2.234 2.754 -0.50
N 0.004 -2.132 2.552 0.03
C -0.623 -2.059 3.656 0.03
S 0.113 -2.052 5.245 -0.04
C -1.459 -2.085 6.136 -0.57
C -2.496 -1.323 5.325 -0.63
S -2.391 -1.948 3.637 -0.12
H 2.735 -3.137 -0.461 0.32
H 6.210 -3.068 -0.305 0.43
H 7.404 -2.512 1.800 0.38
H 6.103 -1.975 3.852 0.40
H 3.624 -2.000 3.749 0.48
H -1.296 -1.623 7.110 0.37
H -1.783 -3.115 6.285 0.29
H -2.299 -0.252 5.346 0.30
H -3.505 -1.507 5.690 0.37
C -3.211 -2.903 -2.662 -0.99
Si -3.816 -1.661 -1.387 0.18
C -5.057 -0.528 -2.182 -1.09
C -4.657 -2.617 -0.012 -0.93
O -2.501 -0.885 -0.783 -0.86
H -4.059 -3.383 -3.160 0.35
H -2.613 -3.716 -2.233 0.32
H -2.611 -2.422 -3.440 0.28
H -5.828 -1.082 -2.723 0.40
H -4.557 0.131 -2.898 0.26
H -5.553 0.099 -1.438 0.29
H -5.618 -3.036 -0.326 0.33
H -4.839 -1.968 0.847 0.23
H -4.050 -3.460 0.335 0.28
C -1.676 3.963 -3.160 -1.07
Si -1.916 3.502 -1.373 0.07
C -3.727 3.246 -1.027 -0.77
C -1.226 4.868 -0.308 -1.03
C -1.052 1.905 -0.874 -0.51
Te -0.618 0.447 -2.370 -0.18
C 1.153 1.420 -3.101 -0.79
Si 2.543 1.656 -1.841 -0.07
C 4.178 1.421 -2.702 -1.13
C 2.434 0.415 -0.446 -0.48
C 2.484 3.384 -1.126 -1.02
H -2.340 4.800 -3.394 0.38
H -1.914 3.143 -3.839 0.37
H -0.653 4.285 -3.368 0.30
H -4.314 4.106 -1.358 0.36
H -3.908 3.107 0.041 0.31
H -4.102 2.362 -1.547 0.06
H -1.751 5.810 -0.490 0.35
H -0.167 5.032 -0.518 0.29
H -1.324 4.638 0.755 0.31
H -1.703 1.362 -0.184 0.54
H -0.114 2.118 -0.357 0.24
H 0.890 2.368 -3.573 0.40
H 1.497 0.772 -3.913 0.46
H 4.271 0.400 -3.083 0.31
H 5.013 1.601 -2.021 0.33
H 4.280 2.107 -3.547 0.31
H 2.449 -0.614 -0.813 -0.06
H 1.540 0.569 0.165 0.38
H 3.292 0.514 0.226 0.42
H 2.220 4.117 -1.894 0.33
H 3.462 3.661 -0.728 0.42
H 1.763 3.485 -0.313 0.32

[2]
29
Properties=species:S:1:pos:R:3:nbo_charge:R:1 method="wB97M-V/def2-TZVPD" homo_energy_ev=-8.638 total_charge=0 fmax_ev_per_a=4.33 energy_ha=-592.3658
C 0.245 2.446 -1.002 -0.58
C 0.131 0.888 -0.951 -0.32
C 1.397 0.346 -0.308 0.47
N 1.839 1.044 0.697 -0.50
C 3.052 0.239 1.079 -0.26
C 2.776 -1.177 0.628 -0.24
N 1.899 -0.950 -0.545 -0.44
C 1.045 -1.970 -0.918 -0.40
C -1.066 0.439 -0.233 -0.03
C -1.463 0.674 1.097 -0.18
C -2.600 0.082 1.567 -0.25
C -3.394 -0.657 0.730 0.02
N -3.123 -0.851 -0.588 -0.42
C -2.022 -0.316 -1.070 0.05
H 0.285 2.961 0.009 0.24
H -0.552 2.819 -1.676 0.21
H 1.242 2.565 -1.593 0.21
H 0.142 0.628 -1.997 0.22
H 3.989 0.685 0.669 0.20
H 3.228 0.183 2.235 0.20
H 3.686 -1.638 0.314 0.21
H 2.185 -1.800 1.333 0.18
H 1.643 -2.812 -1.163 0.20
H 0.370 -2.304 -0.154 0.18
H 0.549 -1.654 -1.853 0.21
H -0.702 1.104 1.695 0.23
H -2.831 0.047 2.593 0.22
H -4.306 -0.996 1.134 0.19
H -1.835 -0.462 -2.193 0.19
>>>

Work order =
Copy the data further above from the first line to the one with "[2]" without altering anything.

Reply =
[1]
73
Properties=species:S:1:pos:R:3:mulliken_charge:R:1 method="wB97M-V/def2-TZVPD" homo_energy_ev=-7.768 total_charge=0 fmax_ev_per_a=2.47 energy_ha=-3117.9868
Ba -0.560 -1.859 -0.196 1.86
O 3.701 -3.166 -0.629 -0.75
C 4.274 -2.849 0.556 0.47
C 5.670 -2.830 0.601 -0.78
C 6.321 -2.520 1.777 -0.27
C 5.594 -2.218 2.929 -0.78
C 4.216 -2.233 2.874 -0.43
C 3.529 -2.546 1.697 0.09
C 2.042 -2.528 1.657 0.93
O 1.471 -2.764 0.509 -1.10
N 1.407 -2.234 2.754 -0.50
N 0.004 -2.132 2.552 0.03
C -0.623 -2.059 3.656 0.03
S 0.113 -2.052 5.245 -0.04
C -1.459 -2.085 6.136 -0.57
C -2.496 -1.323 5.325 -0.63
S -2.391 -1.948 3.637 -0.12
H 2.735 -3.137 -0.461 0.32
H 6.210 -3.068 -0.305 0.43
H 7.404 -2.512 1.800 0.38
H 6.103 -1.975 3.852 0.40
H 3.624 -2.000 3.749 0.48
H -1.296 -1.623 7.110 0.37
H -1.783 -3.115 6.285 0.29
H -2.299 -0.252 5.346 0.30
H -3.505 -1.507 5.690 0.37
C -3.211 -2.903 -2.662 -0.99
Si -3.816 -1.661 -1.387 0.18
C -5.057 -0.528 -2.182 -1.09
C -4.657 -2.617 -0.012 -0.93
O -2.501 -0.885 -0.783 -0.86
H -4.059 -3.383 -3.160 0.35
H -2.613 -3.716 -2.233 0.32
H -2.611 -2.422 -3.440 0.28
H -5.828 -1.082 -2.723 0.40
H -4.557 0.131 -2.898 0.26
H -5.553 0.099 -1.438 0.29
H -5.618 -3.036 -0.326 0.33
H -4.839 -1.968 0.847 0.23
H -4.050 -3.460 0.335 0.28
C -1.676 3.963 -3.160 -1.07
Si -1.916 3.502 -1.373 0.07
C -3.727 3.246 -1.027 -0.77
C -1.226 4.868 -0.308 -1.03
C -1.052 1.905 -0.874 -0.51
Te -0.618 0.447 -2.370 -0.18
C 1.153 1.420 -3.101 -0.79
Si 2.543 1.656 -1.841 -0.07
C 4.178 1.421 -2.702 -1.13
C 2.434 0.415 -0.446 -0.48
C 2.484 3.384 -1.126 -1.02
H -2.340 4.800 -3.394 0.38
H -1.914 3.143 -3.839 0.37
H -0.653 4.285 -3.368 0.30
H -4.314 4.106 -1.358 0.36
H -3.908 3.107 0.041 0.31
H -4.102 2.362 -1.547 0.06
H -1.751 5.810 -0.490 0.35
H -0.167 5.032 -0.518 0.29
H -1.324 4.638 0.755 0.31
H -1.703 1.362 -0.184 0.54
H -0.114 2.118 -0.357 0.24
H 0.890 2.368 -3.573 0.40
H 1.497 0.772 -3.913 0.46
H 4.271 0.400 -3.083 0.31
H 5.013 1.601 -2.021 0.33
H 4.280 2.107 -3.547 0.31
H 2.449 -0.614 -0.813 -0.06
H 1.540 0.569 0.165 0.38
H 3.292 0.514 0.226 0.42
H 2.220 4.117 -1.894 0.33
H 3.462 3.661 -0.728 0.42
H 1.763 3.485 -0.313 0.32

[2]